Excerpt:
<<<
Density functional theory data (PBE) for crystalline Nd2ErI at its relaxed geometry.

Calculated values
Energy above the most stable polymorph in this dataset ... 286 meV per atom
Raw formation energy ... -0.104 eV per atom
Space-group type ... R-3m, No. 166
Raw total energy ... -4.016 eV/atom

a = 12.0194 Å, b = 12.0194 Å, c = 12.0194 Å
α = 17.46°, β = 17.46°, γ = 17.46°
Closest atoms and distances in Å follow each position.
Atoms (fractional coordinates):
1 Nd 0.0943 0.0943 0.0943  3 I 3.32, 1 Er 3.35, 6 Nd 3.65
2 Nd 0.9057 0.9057 0.9057  3 I 3.32, 1 Er 3.35, 6 Nd 3.65
3 Er 0.0000 0.0000 0.0000  2 Nd 3.35, 6 Er 3.65
4 I 0.5000 0.5000 0.5000  6 Nd 3.32, 6 I 3.65

---

Density functional theory data (PBE) for crystalline NdErI at its relaxed geometry.

Calculated values
Energy above the most stable polymorph in this dataset ... 0 meV per atom
Raw formation energy ... -0.271 eV per atom
Space-group type ... Immm, No. 71
Raw total energy ... -3.898 eV/atom

a = 9.6557 Å, b = 9.6557 Å, c = 9.6557 Å
α = 157.65°, β = 143.73°, γ = 43.02°
Closest atoms and distances in Å follow each position.
Atoms (fractional coordinates):
1 Nd 0.1488 0.1488 0.0000  5 I 3.31-3.56, 4 Er 3.58
2 Nd 0.8512 0.8512 0.0000  5 I 3.31-3.56, 4 Er 3.58
3 Er 0.2457 0.5000 0.7457  2 Er 2.95-3.06
4 Er 0.7543 0.5000 0.2543  2 Er 2.95-3.06
5 I 0.3327 0.3327 0.0000  5 Nd 3.31-3.56, 2 Er 3.37
6 I 0.6673 0.6673 0.0000  5 Nd 3.31-3.56, 2 Er 3.37

---

Density functional theory data (PBE) for crystalline Nd2ErI6 at its relaxed geometry.

Calculated values
Raw formation energy ... -1.139 eV per atom
Space-group type ... P4_2/mnm, No. 136
Raw total energy ... -3.739 eV/atom

a = 7.8815 Å, b = 7.8815 Å, c = 12.1370 Å
α = 90.00°, β = 90.00°, γ = 90.00°
Closest atoms and distances in Å follow each position.
Atoms (fractional coordinates):
1 Nd 0.0000 0.0000 0.1552  6 I 3.15-3.25
2 Nd 0.0000 0.0000 0.8448  6 I 3.15-3.25
3 Nd 0.5000 0.5000 0.3448  6 I 3.15-3.25
4 Nd 0.5000 0.5000 0.6552  6 I 3.15-3.25
5 Er 0.0000 0.0000 0.5000  6 I 3.04-3.06
6 Er 0.5000 0.5000 0.0000  6 I 3.04-3.06
7 I 0.2088 0.2088 0.3365  1 Er 3.06, 2 Nd 3.20-3.25
8 I 0.2088 0.2088 0.6635  1 Er 3.06, 2 Nd 3.20-3.25
9 I 0.2270 0.2270 0.0000  1 Er 3.04, 2 Nd 3.15
10 I 0.2730 0.7270 0.5000  1 Er 3.04, 2 Nd 3.15
11 I 0.2912 0.7088 0.1635  1 Er 3.06, 2 Nd 3.20-3.25
12 I 0.2912 0.7088 0.8365  1 Er 3.06, 2 Nd 3.20-3.25
13 I 0.7088 0.2912 0.1635  1 Er 3.06, 2 Nd 3.20-3.25
14 I 0.7088 0.2912 0.8365  1 Er 3.06, 2 Nd 3.20-3.25
15 I 0.7270 0.2730 0.5000  1 Er 3.04, 2 Nd 3.15
16 I 0.7730 0.7730 0.0000  1 Er 3.04, 2 Nd 3.15
17 I 0.7912 0.7912 0.3365  1 Er 3.06, 2 Nd 3.20-3.25
18 I 0.7912 0.7912 0.6635  1 Er 3.06, 2 Nd 3.20-3.25

---

Density functional theory data (PBE) for crystalline NdEr2IO8 at its relaxed geometry.

Calculated values
Raw formation energy ... -2.319 eV per atom
Space-group type ... P2/m, No. 10
Raw total energy ... -6.911 eV/atom

a = 5.0256 Å, b = 6.9248 Å, c = 5.0261 Å
α = 90.00°, β = 90.34°, γ = 90.00°
Closest atoms and distances in Å follow each position.
Atoms (fractional coordinates):
1 Nd 0.0000 0.0000 0.0000  6 O 2.27-2.44
2 Er 0.5000 0.2487 0.5000  6 O 2.16-2.40
3 Er 0.5000 0.7513 0.5000  6 O 2.16-2.40
4 I 0.0000 0.5000 0.0000  6 O 1.91
5 O 0.1836 0.2981 0.1849  1 I 1.91
6 O 0.1836 0.7019 0.1849  1 I 1.91
7 O 0.2684 0.5000 0.7332  1 I 1.91
8 O 0.3187 0.0000 0.6827  2 Er 2.16, 1 Nd 2.27
9 O 0.6813 0.0000 0.3173  2 Er 2.16, 1 Nd 2.27
10 O 0.7316 0.5000 0.2668  1 I 1.91
11 O 0.8164 0.2981 0.8151  1 I 1.91
12 O 0.8164 0.7019 0.8151  1 I 1.91

---

Density functional theory data (PBE) for crystalline NdErIO6 at its relaxed geometry.

Calculated values
Raw formation energy ... -2.038 eV per atom
Space-group type ... P-31c, No. 163
Raw total energy ... -6.553 eV/atom

a = 5.6240 Å, b = 5.6240 Å, c = 9.9425 Å
α = 90.00°, β = 90.00°, γ = 120.00°
Closest atoms and distances in Å follow each position.
Atoms (fractional coordinates):
1 Nd 0.0000 0.0000 0.0000  6 O 2.42
2 Nd 0.0000 0.0000 0.5000  6 O 2.42
>>>
Request:
The reader should transcribe everything further up without altering anything.
Here it is:
Density functional theory data (PBE) for crystalline Nd2ErI at its relaxed geometry.

Calculated values
Energy above the most stable polymorph in this dataset ... 286 meV per atom
Raw formation energy ... -0.104 eV per atom
Space-group type ... R-3m, No. 166
Raw total energy ... -4.016 eV/atom

a = 12.0194 Å, b = 12.0194 Å, c = 12.0194 Å
α = 17.46°, β = 17.46°, γ = 17.46°
Closest atoms and distances in Å follow each position.
Atoms (fractional coordinates):
1 Nd 0.0943 0.0943 0.0943  3 I 3.32, 1 Er 3.35, 6 Nd 3.65
2 Nd 0.9057 0.9057 0.9057  3 I 3.32, 1 Er 3.35, 6 Nd 3.65
3 Er 0.0000 0.0000 0.0000  2 Nd 3.35, 6 Er 3.65
4 I 0.5000 0.5000 0.5000  6 Nd 3.32, 6 I 3.65

---

Density functional theory data (PBE) for crystalline NdErI at its relaxed geometry.

Calculated values
Energy above the most stable polymorph in this dataset ... 0 meV per atom
Raw formation energy ... -0.271 eV per atom
Space-group type ... Immm, No. 71
Raw total energy ... -3.898 eV/atom

a = 9.6557 Å, b = 9.6557 Å, c = 9.6557 Å
α = 157.65°, β = 143.73°, γ = 43.02°
Closest atoms and distances in Å follow each position.
Atoms (fractional coordinates):
1 Nd 0.1488 0.1488 0.0000  5 I 3.31-3.56, 4 Er 3.58
2 Nd 0.8512 0.8512 0.0000  5 I 3.31-3.56, 4 Er 3.58
3 Er 0.2457 0.5000 0.7457  2 Er 2.95-3.06
4 Er 0.7543 0.5000 0.2543  2 Er 2.95-3.06
5 I 0.3327 0.3327 0.0000  5 Nd 3.31-3.56, 2 Er 3.37
6 I 0.6673 0.6673 0.0000  5 Nd 3.31-3.56, 2 Er 3.37

---

Density functional theory data (PBE) for crystalline Nd2ErI6 at its relaxed geometry.

Calculated values
Raw formation energy ... -1.139 eV per atom
Space-group type ... P4_2/mnm, No. 136
Raw total energy ... -3.739 eV/atom

a = 7.8815 Å, b = 7.8815 Å, c = 12.1370 Å
α = 90.00°, β = 90.00°, γ = 90.00°
Closest atoms and distances in Å follow each position.
Atoms (fractional coordinates):
1 Nd 0.0000 0.0000 0.1552  6 I 3.15-3.25
2 Nd 0.0000 0.0000 0.8448  6 I 3.15-3.25
3 Nd 0.5000 0.5000 0.3448  6 I 3.15-3.25
4 Nd 0.5000 0.5000 0.6552  6 I 3.15-3.25
5 Er 0.0000 0.0000 0.5000  6 I 3.04-3.06
6 Er 0.5000 0.5000 0.0000  6 I 3.04-3.06
7 I 0.2088 0.2088 0.3365  1 Er 3.06, 2 Nd 3.20-3.25
8 I 0.2088 0.2088 0.6635  1 Er 3.06, 2 Nd 3.20-3.25
9 I 0.2270 0.2270 0.0000  1 Er 3.04, 2 Nd 3.15
10 I 0.2730 0.7270 0.5000  1 Er 3.04, 2 Nd 3.15
11 I 0.2912 0.7088 0.1635  1 Er 3.06, 2 Nd 3.20-3.25
12 I 0.2912 0.7088 0.8365  1 Er 3.06, 2 Nd 3.20-3.25
13 I 0.7088 0.2912 0.1635  1 Er 3.06, 2 Nd 3.20-3.25
14 I 0.7088 0.2912 0.8365  1 Er 3.06, 2 Nd 3.20-3.25
15 I 0.7270 0.2730 0.5000  1 Er 3.04, 2 Nd 3.15
16 I 0.7730 0.7730 0.0000  1 Er 3.04, 2 Nd 3.15
17 I 0.7912 0.7912 0.3365  1 Er 3.06, 2 Nd 3.20-3.25
18 I 0.7912 0.7912 0.6635  1 Er 3.06, 2 Nd 3.20-3.25

---

Density functional theory data (PBE) for crystalline NdEr2IO8 at its relaxed geometry.

Calculated values
Raw formation energy ... -2.319 eV per atom
Space-group type ... P2/m, No. 10
Raw total energy ... -6.911 eV/atom

a = 5.0256 Å, b = 6.9248 Å, c = 5.0261 Å
α = 90.00°, β = 90.34°, γ = 90.00°
Closest atoms and distances in Å follow each position.
Atoms (fractional coordinates):
1 Nd 0.0000 0.0000 0.0000  6 O 2.27-2.44
2 Er 0.5000 0.2487 0.5000  6 O 2.16-2.40
3 Er 0.5000 0.7513 0.5000  6 O 2.16-2.40
4 I 0.0000 0.5000 0.0000  6 O 1.91
5 O 0.1836 0.2981 0.1849  1 I 1.91
6 O 0.1836 0.7019 0.1849  1 I 1.91
7 O 0.2684 0.5000 0.7332  1 I 1.91
8 O 0.3187 0.0000 0.6827  2 Er 2.16, 1 Nd 2.27
9 O 0.6813 0.0000 0.3173  2 Er 2.16, 1 Nd 2.27
10 O 0.7316 0.5000 0.2668  1 I 1.91
11 O 0.8164 0.2981 0.8151  1 I 1.91
12 O 0.8164 0.7019 0.8151  1 I 1.91

---

Density functional theory data (PBE) for crystalline NdErIO6 at its relaxed geometry.

Calculated values
Raw formation energy ... -2.038 eV per atom
Space-group type ... P-31c, No. 163
Raw total energy ... -6.553 eV/atom

a = 5.6240 Å, b = 5.6240 Å, c = 9.9425 Å
α = 90.00°, β = 90.00°, γ = 120.00°
Closest atoms and distances in Å follow each position.
Atoms (fractional coordinates):
1 Nd 0.0000 0.0000 0.0000  6 O 2.42
2 Nd 0.0000 0.0000 0.5000  6 O 2.42